********
Entry 1:
# C8H16N2O5

A single C8H16N2O5 molecule (the ωB97M-V functional and the def2-TZVPD basis, the OMol25 dataset).

Summary:
- Energy above the lowest of the compared OMol25 structures with the same formula, charge and spin: 58.1 kcal/mol
- Maximum force: 3.5 eV/Å
- HOMO-LUMO gap: 10.189 eV
- Structure (SMILES): C[C@@H](O)[C@H](N)C(=O)N[C@H](C(=O)O)[C@@H](C)O
- HOMO energy: -9.68 eV

The geometry in ORCA input format:
```
! RIJCOSX wB97M-V def2-TZVPD def2/J DEFGRID3
* xyz 0 1
C 3.7549 -0.3018 0.2145
C 2.6412 0.7306 0.3738
O 2.3950 1.8353 -0.5532
C 1.1540 0.0730 0.6212
N 0.8826 -1.0162 1.5399
C 0.7517 -0.4222 -0.8128
O 1.4076 -1.3241 -1.3603
N -0.2976 0.2461 -1.4954
C -1.5766 0.5149 -0.6772
C -1.6621 1.8608 0.0360
O -2.3578 2.1334 0.9834
O -0.9096 2.9292 -0.5032
C -2.0727 -0.7268 0.0504
C -3.6430 -1.0057 0.2037
O -1.6387 -1.9152 -0.5258
H 3.7303 -0.7488 -0.8027
H 3.4146 -0.9896 1.0038
H 4.7600 0.0406 0.3907
H 2.8648 1.3444 1.3278
H 1.9644 1.3993 -1.3014
H 0.4881 0.8879 0.9876
H 0.9111 -0.6376 2.4625
H 1.3312 -1.8669 1.4058
H -0.4798 -0.2535 -2.3711
H -2.3170 0.6743 -1.4952
H -0.6757 2.5929 -1.3638
H -1.6620 -0.5787 1.0420
H -4.1033 -1.1038 -0.8065
H -3.7413 -1.9874 0.7126
H -4.2972 -0.0934 0.6329
H -1.0172 -2.2911 0.0801
*
```

Entry 2:
# C8H16N3O

A gas-phase ion, C8H16N3O (charge +1) (the ωB97M-V functional and the def2-TZVPD basis, the OMol25 dataset).

Summary:
- Energy above the lowest of the compared OMol25 structures with the same formula, charge and spin: 34.7 kcal/mol
- Maximum force: 4.2 eV/Å
- HOMO-LUMO gap: 8.720 eV
- Structure (SMILES): [NH2+]=C(CCO)N1C=CNCCC1
- HOMO energy: -11.90 eV

The geometry in ORCA input format:
```
! RIJCOSX wB97M-V def2-TZVPD def2/J DEFGRID3
* xyz 1 1
N 1.0143 -2.4326 -0.7923
C 0.3925 -1.2119 -1.0226
C 0.4480 -0.6167 -2.3640
C 1.7754 0.1360 -2.4906
O 1.7301 1.2953 -1.7520
N -0.0186 -0.5257 0.0274
C -0.3012 -1.1146 1.3395
C -0.7379 -0.7122 2.5588
N -1.3979 0.4112 3.1782
C -1.4924 1.5427 2.1864
C -1.7530 1.1490 0.6998
C -0.5040 0.8663 -0.1621
H 1.2752 -2.8668 0.0921
H 1.4905 -2.7893 -1.6556
H -0.3982 0.0721 -2.4931
H 0.3474 -1.3767 -3.1585
H 2.6734 -0.4786 -2.0734
H 1.9503 0.3072 -3.5242
H 2.4712 1.8714 -1.9759
H 0.2956 -2.0424 1.5814
H -0.4303 -1.4810 3.2546
H -0.8668 0.6530 4.0103
H -0.5657 2.0809 2.3631
H -2.3615 2.1707 2.4950
H -2.1292 2.0516 0.3385
H -2.4924 0.4702 0.5175
H -0.7037 1.0408 -1.1288
H 0.2888 1.5301 -0.0497
*
```

Entry 3:
# C8H16N4O2

A single C8H16N4O2 molecule (the ωB97M-V functional and the def2-TZVPD basis, the OMol25 dataset).

Summary:
- Energy above the lowest of the compared OMol25 structures with the same formula, charge and spin: 36.3 kcal/mol
- Maximum force: 12.2 eV/Å
- HOMO-LUMO gap (alpha / beta): 4.391 / 6.098 eV
- HOMO energy (alpha / beta): -3.68 / -9.08 eV

The geometry in ORCA input format:
```
! RIJCOSX wB97M-V def2-TZVPD def2/J DEFGRID3
* xyz 0 3
C 2.3935 -1.4221 0.5816
C 0.6028 0.9339 -1.1942
C 1.6068 1.9177 -0.3291
C 0.6955 0.3865 1.1382
C 3.0936 1.8387 -0.9585
C -3.1841 -1.8773 -0.7503
C -0.9207 -0.8536 -0.4274
C -2.5011 -0.6162 -0.3151
N 3.1410 -2.0087 -0.0448
N -0.1130 0.2886 -0.1091
N -0.1253 0.6002 2.3243
N 1.5617 -0.8981 1.4046
O 1.5940 1.4437 0.9915
O -2.7755 -0.2438 1.0970
H -0.2162 1.4693 -1.7978
H 1.1527 0.1984 -1.8196
H 1.2911 2.8669 -0.5148
H 3.5395 0.9243 -0.9332
H 3.4359 2.6633 -0.3962
H 2.9971 2.1765 -1.9851
H -3.2476 -2.6679 0.0397
H -4.1609 -1.6634 -0.8227
H -2.7287 -2.4108 -1.6119
H -0.6632 -1.5684 0.4326
H -0.6589 -1.2228 -1.4256
H -2.8760 0.1854 -0.9812
H 0.4275 1.0230 3.1049
H -1.0024 1.0963 2.1077
H 0.9245 -1.5415 1.8608
H -3.2836 -1.0182 1.3338
*
```

Entry 4:
# C8H16N4O2P

A gas-phase ion, C8H16N4O2P (charge +1) (the ωB97M-V functional and the def2-TZVPD basis, the OMol25 dataset).

Summary:
- Maximum force: 6.0 eV/Å
- HOMO-LUMO gap: 8.193 eV
- HOMO energy: -12.61 eV

The geometry in ORCA input format:
```
! RIJCOSX wB97M-V def2-TZVPD def2/J DEFGRID3
* xyz 1 1
C 3.4630 -2.7277 0.0733
C 2.3628 -2.1735 0.7834
********

Work out how many lines further up have the word "Structure" in them; a number is enough.

2